Enjoy your madness



Madness runs in my blood.

This is the only thing I inherited from my family. No fortune or business or even a damn field. Others have inherited a name and a legacy. Exiles and homelands not to be forgotten, a man of letters or at least an eponymous ancestor who participated in history, someone you can refer to during a conversation.

I only have a lengthy family record of mental illness, as if I was born with distorted glasses, so I see and inhabit the world looking through them.


At the beginning of my adolescence, when hormones affected my brain, I experienced incidents that could have led me down troublesome paths.

It was some weird dreams which were not confined to dreamland. I dreamt that I had to arrange some numbers, add them, subtract them, put them in order.  But when I was done with the first and the second, I perceived that there were infinite numbers waiting for me.

I woke up drenched in sweat in the middle of the night feeling my limbs atrophied, and I wouldn’t sleep in order to keep the numbers at bay. I never told anyone, it was something I had to fight on my own, being secretive from birth. I drank some water, I walked around the sleeping house like a ghost condemned to insomnia and when I regained a bit of reality, I read a book.

The books, literature, were my sole companion, my imaginary friend and redeemer; something like a prayer or maybe a dreamcatcher. I continued to read, I began to write, still a child wet behind the ears and terrified.

My father was alarmed to see me buried in books all the time.
“Don’t read so much” he told me “you’ll lose your mind”.

He didn’t know that reading was the antidote to madness.


I spent the best summer of my life with the mad blood in my veins and two books permanently under my arm, and I reached what seemed to be the beginning of the autumn.

I wasn’t cured, but things could be worse. After all I didn’t want to be cured, since it would transform me into something I was not, it wouldn’t be me anymore – even though I can’t tell for sure who I am.

My madness can’t be classified into any category of a mental disorders’ manual and to some extent I am a functional individual, despite the fact I can’t accept the world – even if this world is meant to accept me.

Perhaps the term that describes me best is dialectal misfit. Just like a dialect, I adapt myself anywhere but I don’t lose myself in there, it doesn’t absorb me, I always remain a stranger, a foreigner, something like a tourist, a passer-by.

Above all, I can’t value anything as absolutely important and essential. I can see as such only life itself, everything else is hallucinations.

Even life, our existence, is weird. If you observe your feet, your hands, your face, you realize how strange it is that they exist, how strange they are the way they are. They seem natural to us because we are used to them but they are strange assemblies of cells and circumstances.


As I was passing through life (because it’s nothing else than a passage and we are travellers with a one-way ticket) I met many other people who were as mad as I am. Birds of a feather flock together. None of them could ever be a member of parliament or, at least, a club president.

Of their own free will, they detach themselves from every-day life, as if they are part of an already completed jigsaw puzzle, a spare piece, unfitting, useless.

Society puts the blame on them for their weirdness, to justify the existence of its cruelty.

Some can accept it, others are opposed. The second (those who oppose) can’t figure out why the madness that runs in their blood can’t fit in an irrational world. They simply don’t understand that they are neither mad enough to be put on the sidelines, nor irrational enough to be accepted.

Just like the war between animals and birds, where the bat was a common enemy to all and an outcast, therefore it was forced to live in the dark, hidden. That’s the way they live, too.


I’d like to write that mad people bring changes to the world, it would suit me fine, by reeling off a few names of such great and “damned” people. But this is yet another myth, sloppy and fascinating, that sometimes I resort to in order to back up my thoughts.

The World changes one way or another, there is no other way, change is an ingredient of existence. Even the dead change as their body decomposes. It is turned into fertilizer, food, the structural material for new forms of life, that will die too when their time comes. Only in an utterly cold Universe would nothing change.


People who carry the madness in their blood suffer very often. Because they are not accepted by others, they are weird, eccentric, erratic, secluded – and they throw pearls before swine, at the bus stations and the queues outside unemployment offices.

What saves them is that sometimes they can see things that others can’t. It’s not a virtue, it’s not superiority, it’s just personal redemption – and nothing else.

Between two parts of the piece: crystal structures
=====
# 1
VASP calculation (PBE) on a geometry-optimized Ca2LaRu structure.

Cell lengths 10.3907, 10.3907, 7.7998 Å; angles 48.23, 48.23, 90.00 degrees
With the nearest neighbours (Å) after each atom.
Fractional coordinates of all 8 atoms:
La 0.0000 0.0000 0.0000  2 Ru 2.62
La 0.7500 0.2500 0.5000  2 Ru 2.62
Ca 0.3750 0.5060 0.7500  2 Ru 2.95
Ca 0.2560 0.6250 0.2500  2 Ru 2.95
Ca 0.4940 0.1250 0.2500  2 Ru 2.95
Ca 0.8750 0.7440 0.7500  2 Ru 2.95
Ru 0.2500 0.7500 0.5000  2 La 2.62
Ru 0.5000 0.5000 0.0000  2 La 2.62

Results
**Calculated volume**: 282.65 Å³/cell
**Energy relative to the lowest polymorph listed for this composition**: 0.338 eV/atom
**Crystal system**: tetragonal



# 2
VASP calculation (PBE) on a geometry-optimized LiPu3Sc2S6 structure.

Cell lengths 6.6656, 6.6656, 6.6057 Å; angles 99.67, 99.67, 119.99 degrees
With the nearest neighbours (Å) after each atom.
Fractional coordinates of all 12 atoms:
S 0.4127 0.0774 0.2322  2 Sc 2.64, 1 Li 2.66, 3 Pu 2.78
S 0.5873 0.9226 0.7678  2 Sc 2.64, 1 Li 2.66, 3 Pu 2.78
S 0.0774 0.4127 0.2322  2 Sc 2.64, 1 Li 2.66, 3 Pu 2.78
S 0.2581 0.2581 0.7693  2 Sc 2.64, 1 Li 2.65, 3 Pu 2.77-2.78
S 0.7419 0.7419 0.2307  2 Sc 2.64, 1 Li 2.65, 3 Pu 2.77-2.78
S 0.9226 0.5873 0.7678  2 Sc 2.64, 1 Li 2.66, 3 Pu 2.78
Pu 0.8343 0.1657 0.5000  6 S 2.78
Pu 0.5000 0.5000 0.5000  6 S 2.77-2.78
Pu 0.1657 0.8343 0.5000  6 S 2.78
Li 0.0000 0.0000 0.0000  6 S 2.65-2.66
Sc 0.6668 0.3332 0.0000  6 S 2.64
Sc 0.3332 0.6668 0.0000  6 S 2.64

Results
**Energy relative to the elements, uncorrected**: -1.756 eV/atom
**Calculated volume**: 239.42 Å³/cell
**Crystal system**: monoclinic



# 3
VASP calculation (PBE) on a geometry-optimized Os2RuRh structure.

Cell lengths 4.3538, 4.3538, 4.3538 Å; angles 60.00, 60.00, 60.00 degrees
With the nearest neighbours (Å) after each atom.
Fractional coordinates of all 4 atoms:
Rh 0.5000 0.5000 0.5000  4 Os 2.67, 4 Ru 2.67
Os 0.0000 0.0000 0.0000  4 Ru 2.67, 4 Os 2.67
Os 0.2500 0.2500 0.2500  4 Os 2.67, 4 Rh 2.67
Ru 0.7500 0.7500 0.7500  4 Os 2.67, 4 Rh 2.67

Results
**Calculated volume**: 58.36 Å³/cell
**Energy relative to the lowest polymorph listed for this composition**: 0.540 eV/atom
**Crystal system**: cubic



# 4
VASP calculation (PBE) on a geometry-optimized CsTa2Ti2 structure.

Cell lengths 3.7687, 3.7687, 9.8155 Å; angles 78.93, 78.93, 90.00 degrees
With the nearest neighbours (Å) after each atom.
Fractional coordinates of all 5 atoms:
Cs 0.0000 0.0000 0.0000  4 Cs 3.77, 8 Ta 3.85
Ti 0.7500 0.2500 0.5000  4 Ti 2.66, 4 Ta 2.71
Ti 0.2500 0.7500 0.5000  4 Ti 2.66, 4 Ta 2.71
Ta 0.6470 0.6470 0.7061  4 Ti 2.71
Ta 0.3530 0.3530 0.2939  4 Ti 2.71

Results
**Calculated volume**: 134.17 Å³/cell
**Energy relative to the lowest polymorph listed for this composition**: 0.380 eV/atom
**Crystal system**: tetragonal

=====

(1)
Density functional theory data (PBE-GGA) for a relaxed CsHg3Au crystal.

a b c (Å): 7.5401 11.5275 7.4140
angles (deg): 90.00 90.00 90.00
=====
Back to the piece

If some of them are finally accepted, it’s just because coincidentally their madness is in accord with the times and the mainstream. These lucky guys are few. Most of them die smashed by the dictatorship of normality, they are drowned swimming against the current – or downwards.


As the years pass by and I gather material, I see that this madness which is so romanticized or criticized, is usual, common, almost a certainty. But the best part of people suppresses it to the subconscious or buries it too deep in the pocket of social norms to remain secret, like a weakness you are not allowed to confess or admit to.

And when it bursts forth, unconsciously and like a flood, it is disastrous both for the bearer and those who are around.

Perhaps man’s irrationality, as a social being, is that they will never admit their madness. As they strive to be normal, acceptable, successful and likeable, they commit crimes against others and themselves.

Mainly against themselves. And when, some day, they realize how many pieces of them they have left behind somewhere along the way, because their parents, their teachers, their friends, their lovers, their partners, their bosses, the advertisers, the psychiatrists and the wise men told them so, when they realize that along with these pieces, they have left their own self, then –sometimes – they get mad in the real sense of the word and they grab a gun and take revenge for the wasted madness, the wasted life.


The only way to live – or at least the most genuine – is to accept your madness. Don’t take off your own special, characteristic, weird glasses you have been wearing since the day you were born that make you see differently – and make you look weird.

You will be accepted, understood, befriended, loved, only by those who have loved their own madness. You need no more of them.

And – above all – you’ll never take a look in the mirror and wonder who this stranger that is looking back at you is.

It’s you. Mad, maybe. But it’s you.

And there are plenty like you.


Sanejoker’s Facebook Page: 

Translated by Alexandros Mantas

Edited by Jackie Pert
